== Exercise ==
Duplicate all of the entries below verbatim, please.
== Excerpt ==
{"formula": "Zr2TeRuSe", "functional": "PBE", "state": "optimized geometry", "lattice_angstrom": [[-2.226, -4.557, 1.651], [1.776, -2.237, -3.779], [4.415, -1.157, 2.760]], "species": ["Ru", "Te", "Se", "Zr", "Zr"], "fractional_positions": [[0.000, 0.500, 0.000], [0.000, 0.000, 0.000], [0.500, 0.500, 0.500], [0.000, 0.000, 0.500], [0.500, 0.000, 0.000]], "space_group": "P4/mmm", "m_tot_mub_per_fu": 0.22, "e_form_raw_kj_per_mol_atoms": 70}

~~~~~

This record from Alexandria describes crystalline ScHg2Rh at its relaxed geometry. The functional is GGA-PBE.

The formation energy is -5.809 kcal/mol of atoms. The calculation puts the density of states at the Fermi level at 3.4 states/eV/f.u.

The space group is P4/mmm (No. 123) and the conventional cell measures 4.107, 4.107 and 4.548 Å, with angles of 90.00, 90.00 and 90.00 degrees. The distinct sites, in fractional coordinates, are Sc at (0.000, 0.000, 0.000), Hg at (0.000, 0.500, 0.500) and Rh at (0.500, 0.500, 0.000).
== Done ==
{"formula": "Zr2TeRuSe", "functional": "PBE", "state": "optimized geometry", "lattice_angstrom": [[-2.226, -4.557, 1.651], [1.776, -2.237, -3.779], [4.415, -1.157, 2.760]], "species": ["Ru", "Te", "Se", "Zr", "Zr"], "fractional_positions": [[0.000, 0.500, 0.000], [0.000, 0.000, 0.000], [0.500, 0.500, 0.500], [0.000, 0.000, 0.500], [0.500, 0.000, 0.000]], "space_group": "P4/mmm", "m_tot_mub_per_fu": 0.22, "e_form_raw_kj_per_mol_atoms": 70}

~~~~~

This record from Alexandria describes crystalline ScHg2Rh at its relaxed geometry. The functional is GGA-PBE.

The formation energy is -5.809 kcal/mol of atoms. The calculation puts the density of states at the Fermi level at 3.4 states/eV/f.u.

The space group is P4/mmm (No. 123) and the conventional cell measures 4.107, 4.107 and 4.548 Å, with angles of 90.00, 90.00 and 90.00 degrees. The distinct sites, in fractional coordinates, are Sc at (0.000, 0.000, 0.000), Hg at (0.000, 0.500, 0.500) and Rh at (0.500, 0.500, 0.000).